#timetotalk | Charlene's Story

........
# Tb2NpFeO8

An optimized crystal structure of Tb2NpFeO8 (PBE with a Hubbard U, Alexandria via LeMat-Bulk).

Results
VASP energy   -8.310 eV/atom
Crystal system   monoclinic

a b c (Å): 4.9858 6.8514 4.9864
angles (deg): 90.00 93.12 90.00
Space group P2/m (No. 10)
Unique sites:
1 Tb 0.0000 0.2370 0.0000
........
## The materials data stop here
As part of the #timetotalk day I’ve decided to take to the keyboard and share my story to help encourage conversation about mental health and combat the stigma and taboo that surrounds it, so where do I even start?!

Firstly, I’ll introduce myself. My name is Charlene and I currently work for The Comedy Trust in the role of office house elf, or formally known as admin (Yes I had to slip in a Harry Potter reference). For as long as I can remember I’ve suffered from social anxiety, the form where you secure the nickname “Fifth Table Leg” because you were that scared of people you’d hide under the table as they’d walk into the room (because let’s face it, humans are scary right?!). Alongside this from the age of 13 I began to experience severe bouts of depression triggered by the loss of my sister. I have to say, experiencing this alongside teen drama, breakups and hectic hormones I could’ve filmed my own American reality teen drama show.
_Inserted here: crystal structures_
........
A plane-wave DFT calculation with GGA-PBEsol was carried out for a relaxed structure of LiSb2Cl.

Cell: 6.955 4.019 8.666 Å, 90.00 105.71 90.00°
Space group Cm (No. 8)
One atom of each set of equivalent atoms:
Li: 0.000 0.000 0.000 x2
Sb: 0.197 0.000 0.595 x2
Sb: 0.464 0.000 0.397 x2
Cl: 0.166 0.500 0.999 x2

## Properties
* uncorrected formation energy: -766.3 meV per atom
* crystal system: monoclinic
* E_tot: -32.31 eV per cell

----------

A relaxed structure of PrEr2ScSe6. Source: Alexandria, functional PBE-GGA.

It has space group R3 (No. 146, hexagonal axes), with a = 7.1589 Å, b = 7.1589 Å, c = 19.2706 Å, α = 90.00°, β = 90.00° and γ = 120.00°. The distinct sites, in fractional coordinates, are Pr at (0.0000, 0.0000, 0.0000), Er at (0.0000, 0.0000, 0.2953), Er at (0.0000, 0.0000, 0.8021), Sc at (0.0000, 0.0000, 0.4902), Se at (0.0213, 0.7179, 0.3970) and Se at (0.0228, 0.3437, 0.5606).

For the density, the calculation gives 5.8 g/cm³. As for the crystal system: trigonal. The formation energy (no corrections) is -1.78 eV per atom.



A relaxed structure of Pr3ErSc2Se6. Source: Alexandria, functional PBE-GGA.

It has space group C2/m (No. 12), with a = 6.9759 Å, b = 12.1285 Å, c = 7.2926 Å, α = 90.00°, β = 108.70° and γ = 90.00°. The distinct sites, in fractional coordinates, are Pr at (0.0000, 0.0000, 0.0000), Pr at (0.0000, 0.3367, 0.0000), Er at (0.0000, 0.5000, 0.5000), Sc at (0.0000, 0.1666, 0.5000), Se at (0.2322, 0.0000, 0.7194) and Se at (0.2443, 0.3297, 0.7224).

For the density, the calculation gives 6.6 g/cm³. As for the crystal system: monoclinic. The formation energy (no corrections) is -1.73 eV per atom.
........
#Timetotalk day is about increasing conversations surrounding mental health and understanding of mental health so I thought it would be appropriate to look into the difficulties I faced and the important things to remember.
Shame, Shame, we know your name: Whilst in school I didn’t really understand what mental health was or what it could do to you before it hit me. I was really ashamed of how I was acting, how I handled situations, how other people perceived me because I wasn’t a happy go lucky confidence brimming student. Looking back now a lot of this was linked to my mental health but also my lack of knowledge on the subject. You should never be ashamed of what you are going through, your body can get ill and so can your mind so never feel bad about feeling the way you do

Turning into the E.T: I use this expression because that’s what it felt like, people too scared to approach you, to say hello, to look you in the eye in case they say something wrong. If you see someone has gone through something troubling in their lives or are aware that they experience mental health conditions please I cannot stress enough, approach them, ask how they are, take an interest in what they are up to. Do you share a hobby? Have something in common? That’s great, engage in a conversation, take an interest and shed a little light into their not so vibrant days
“I shouldn’t have said that”: From the words of Hagrid, there are some things better left unsaid. I think the two worst things that have been said to me were “I can’t handle your emotions” that was used as an excuse to not interact with me anymore or “People have it worse you know, what are you crying for”…..okay. Words hurt just as much as physical pain so please be tactful with your words for everyone in your lives not just those suffering from mental health issues. Be understanding and patient.
Hello…it’s me: And no we’re not talking about the Adele song.
A simple hello from a family member, friend or colleague coupled with a how are you today goes such a long
Misplaced data records
<<<
# 1
MnAlSi2: optimized geometry, PBE-GGA.

Structure (POSCAR):
```
MnAlSi2
1.0
3.5553 0.0000 0.0000
0.0000 4.0898 0.0000
0.0000 0.0000 3.7095
Mn Si Al
1 2 1
Direct
0.0000 0.5000 0.5000
0.0000 0.0000 0.0000
0.5000 0.5000 0.0000
0.5000 0.0000 0.5000
```

Summary:
Symmetry = Pmmm (47)
Density of states at the Fermi level = 0.66 states/eV per atom
Uncorrected energy = -5.8297 eV per atom
Crystal system = orthorhombic

# 2
MnAl2Si: optimized geometry, PBE-GGA.

Structure (POSCAR):
```
MnAl2Si
1.0
-3.5825 -3.0463 -0.6248
-1.2139 -2.1945 4.0268
0.6672 4.5483 -1.1716
Al Mn Si
2 1 1
Direct
0.5000 0.5000 0.0000
0.0000 0.0000 0.0000
0.7500 0.2500 0.5000
0.2500 0.7500 0.5000
```

Summary:
Symmetry = I4/mmm (139)
Density of states at the Fermi level = 0.41 states/eV per atom
Uncorrected energy = -5.6249 eV per atom
Crystal system = tetragonal

# 3
MnAl2Si: optimized geometry, PBE-GGA.

Structure (POSCAR):
```
MnAl2Si
1.0
-1.7976 2.5915 3.5338
-3.9247 1.6128 2.1049
-0.4166 -3.3677 2.9271
Mn Al Si
1 2 1
Direct
0.7500 0.7500 0.7500
0.4921 0.4921 0.5068
0.0079 0.0079 0.9932
0.2500 0.2500 0.2500
```

Summary:
Symmetry = C2/m (12)
Density of states at the Fermi level = 0.59 states/eV per atom
Uncorrected energy = -5.5600 eV per atom
Crystal system = monoclinic

What did the second record say?
MnAl2Si: optimized geometry, PBE-GGA.

Structure (POSCAR):
```
MnAl2Si
1.0
-3.5825 -3.0463 -0.6248
-1.2139 -2.1945 4.0268
0.6672 4.5483 -1.1716
Al Mn Si
2 1 1
>>>
End of the data records
way that words can’t even describe. I can personally say, conversations have saved my life, just having someone to vent to, talk through your problems or even just sit there with you in silence until you’re able to talk was life changing.
Accepting yourself for who you are: I think everyone has a difficulty with this one but accepting yourself for who you are really helps. Yes, you have a mental illness but that does not mean that you do not have worth. Mental health may be part of who you are but it does not define you. You define yourself. You’re unique, strong and capable of anything, don’t forget that.
I’m very lucky to say today that I am in recovery; of course I still have days where I still do suffer but I’ve learnt to accept that it is part of who I am. My coping mechanisms came in the form of the arts, using music as a platform to channel my thoughts and feelings. This is why it’s such a privilege to work for an organisation who do the same, using comedy as a platform to raise awareness of mental health whilst improving participant’s mental health, self-esteem and confidence. It’s like seeing a light at the end of the tunnel and the transformations we see as an organisation are astounding. I’m blessed to be a part of that.
All jokes aside, mental health is no laughing matter. Together we can work together, raise awareness, conversations and combat the stigma that surrounds mental health. #timetotalk
For more information on our mental health courses please head to our website
For information on mental health services: MIND | TIME TO CHANGE | PAPYRUS | CALM |